Dog Walking Safety Tips for Homestead & Florida Residents

Walking your dog is an important way to get exercise and spend quality time with your pet. However, this everyday activity is not without risks. In fact, each year, people get seriously injured while out with their pets. Walking your dog in Homestead or your community can lead to trip and fall injuries, dog bites, and can even put you at risk for muggings.

Many things can go wrong when you go out to walk your dog. You may encounter another, aggressive dog on your walk, you can trip over the leash, or your dog can bolt after a squirrel or other distraction, causing you to fall. If you are not careful, walking your dog when your dog has to head outside at night can also put you at risk of pedestrian accidents.

**What comes next are materials data, not part of the page:**
~~~
[1]
! Tb4CoCu3 (GGA-PBE, relaxed); values from VASP
! Total energy ... -4.975 eV/atom
! Formation energy from the elements ... -235.2 meV/atom
! Space group ... Pmm2 (25)
&SYSTEM
  ibrav = 0, nat = 8, ntyp = 3
/
ATOMIC_SPECIES
Tb 158.93 Tb.upf
Co 58.93 Co.upf
Cu 63.55 Cu.upf
CELL_PARAMETERS angstrom
3.743 0.000 0.000
0.000 4.388 0.000
0.000 0.000 10.355
ATOMIC_POSITIONS angstrom
Tb 0.000 0.000 0.000
Tb 0.000 2.194 2.775
Tb 1.872 0.000 4.955
Tb 1.872 2.194 7.999
Co 1.872 0.000 2.116
Cu 0.000 0.000 7.239
Cu 0.000 2.194 5.794
Cu 1.872 2.194 0.626

[2]
! Tb12Co6Cu (GGA-PBE, relaxed); values from VASP
! Total energy ... -5.546 eV/atom
! Distance to the lowest polymorph of the same formula ... 0.000 eV per atom
! Formation energy from the elements ... -162.3 meV/atom
! Space group ... Im-3 (204)
&SYSTEM
  ibrav = 0, nat = 19, ntyp = 3
/
ATOMIC_SPECIES
Tb 158.93 Tb.upf
Co 58.93 Co.upf
Cu 63.55 Cu.upf
CELL_PARAMETERS angstrom
-4.817 4.817 4.817
4.817 -4.817 4.817
4.817 4.817 -4.817
ATOMIC_POSITIONS angstrom
Tb 4.817 -1.911 2.947
Tb 2.905 1.870 0.000
Tb 6.728 1.870 0.000
Tb 2.947 4.817 -1.911
Tb 1.870 0.000 2.905
Tb 0.000 2.905 1.870
Tb 4.817 1.911 2.947
Tb 2.947 4.817 1.911
Tb 1.870 0.000 6.728
Tb -1.911 2.947 4.817
Tb 1.911 2.947 4.817
Tb 0.000 6.728 1.870
Co 4.817 0.000 1.097
Co 4.817 3.720 0.000
Co 1.097 4.817 0.000
Co 3.720 0.000 4.817
Co 0.000 1.097 4.817
Co 0.000 4.817 3.720
Cu 0.000 0.000 0.000

[3]
! Tb4Co2Cu5 (GGA-PBE, relaxed); values from VASP
! Total energy ... -5.026 eV/atom
! Formation energy from the elements ... -188.7 meV/atom
! Space group ... P2/m (10)
&SYSTEM
  ibrav = 0, nat = 11, ntyp = 3
/
ATOMIC_SPECIES
Tb 158.93 Tb.upf
Co 58.93 Co.upf
Cu 63.55 Cu.upf
CELL_PARAMETERS angstrom
6.687 0.000 0.000
0.000 3.980 0.000
-0.316 0.000 7.698
ATOMIC_POSITIONS angstrom
Tb 1.363 0.000 2.765
Tb 1.339 0.000 6.876
Tb 5.032 0.000 0.822
Tb 5.008 0.000 4.933
Co 0.433 1.990 1.029
Co 5.938 1.990 6.669
Cu 0.768 1.990 4.785
Cu 2.898 1.990 1.210
Cu 3.185 1.990 3.849
Cu 3.473 1.990 6.488
Cu 5.603 1.990 2.912

[4]
! TbCoCu (GGA-PBE, relaxed); values from VASP
! Total energy ... -5.467 eV/atom
! Formation energy from the elements ... -190.0 meV/atom
! Space group ... C2/m (12)
&SYSTEM
  ibrav = 0, nat = 6, ntyp = 3
/
ATOMIC_SPECIES
Tb 158.93 Tb.upf
Co 58.93 Co.upf
Cu 63.55 Cu.upf
CELL_PARAMETERS angstrom
7.274 -2.024 0.000
7.274 2.024 0.000
-1.011 0.000 3.718
ATOMIC_POSITIONS angstrom
Tb 1.324 0.000 1.361
Tb 12.212 0.000 2.356
Co 6.546 0.000 0.800
Co 6.990 0.000 2.917
Cu 4.258 0.000 0.174
Cu 9.278 0.000 3.543

Which of these has the highest total energy?
Tb4CoCu3

* * * * *

Record 1
FeCuOs2 PBE-GGA optimized geometry; space group = R-3m; distance to the lowest polymorph of the same formula = 0 kJ/mol of formula units; formation enthalpy at 0 K = 203 meV per atom
1.0
2.665 0.000 0.000
-1.332 2.308 0.000
0.000 0.000 25.797
Fe Cu Os
3 3 6
Direct
0.000 0.000 0.000
0.333 0.667 0.667
0.667 0.333 0.333
0.000 0.000 0.500
0.333 0.667 0.167
0.667 0.333 0.833
~~~

Fortunately, there are many ways you can stay safe when you go for a walk with your favorite furry friend:

  • Stay visible. Whether you are heading out at night or during the day, consider visibility. In the daytime, this means staying on sidewalks and areas where you can be seen. At night, this may mean carrying a flashlight and wearing reflective clothing so motorists can see you.
  • Make sure your dog is trained. If your dog does not obey you, he or she may be more likely to try to get away or jerk on the leash. Both activities can make you lose control of the animal, leading to a dog bite. An out-of-control dog can also cause you to stumble or can even pull you into traffic. If you cannot easily control your dog, leave the walking to professionals and get into obedience school so you can learn to work with your pet. If your dog has ever shown any aggression, make sure they wear a muzzle so you are not held liable for any bites.
  • Talk to your dog. This will keep the dog focused on you and can reduce the amount of pulling on the leash and distraction. Talking to your pet also helps you to develop a stronger bond, which can help you with obedience training.
  • Feel free to say “no” to strangers. If strangers want to pet your dog, it is acceptable to decline, especially if you are still working on obedience. Not everyone you meet will know how to interact with a dog.
  • Have the right gear, including a sturdy leash and harness or collar. Wear comfortable clothing that allows for a range of movement and shoes with good treads. Bring snacks for your pet as well as bags for cleaning up. Check the leash and collar or harness before each walk and replace worn items. You don’t want your dog to get away from you and dart into traffic.

If you are bitten by a dog while walking outside, you may have a legal claim. If you find yourself seriously injured while on a walk with your own pet, you may have a claim if your injuries were caused by someone’s negligence. To help you review legal options, arrange a free accident consultation with a Homestead dog bite attorney by calling Flaxman Law Group at 1-866-352-9626 (1-866-FLAXMAN).